It remains to set down the lines further down up to the one that holds "12)", that line included.

┌──
Record 1
This entry pairs a crystal structure of HoEr4In3 with its simulated X-ray powder pattern. Radiation: Cu Kα, 1.54184 Å. Structure: a crystal structure in Alexandria, relaxed with PBE.
Intensities are scaled so that the largest is 100.

Cell and atoms:
abc: 3.474 8.773 15.019
angles: 90.00 90.00 90.00
Space group Immm (No. 71)
Asymmetric unit:
Ho: 0.000 0.000 0.000
Er: 0.000 0.301 0.140
In: 0.000 0.000 0.500
In: 0.000 0.500 0.316

Most intense lines, 15° ≤ 2θ ≤ 90°, in order of rising 2θ:
2theta  I_rel
26.33  32
30.12  77
31.16  36
31.36  100
33.44  38
35.55  46
35.87  36
36.70  48
37.60  99
64.46  32



Record 2
This entry pairs a crystal structure of Ho5Er12In2 with its simulated X-ray powder pattern. Radiation: Cu Kα, 1.54184 Å. Structure: a crystal structure in Alexandria, relaxed with PBE.
Intensities are scaled so that the largest is 100.

Cell and atoms:
abc: 15.279 9.192 8.226
angles: 90.00 91.39 90.00
Space group C2/m (No. 12)
Asymmetric unit:
Ho: 0.000 0.000 0.000
Ho: 0.191 0.500 0.506
Ho: 0.235 0.000 0.080
Er: 0.053 0.500 0.825
Er: 0.085 0.000 0.386
Er: 0.125 0.304 0.161
Er: 0.150 0.185 0.738
In: 0.000 0.319 0.500

Most intense lines, 15° ≤ 2θ ≤ 90°, in order of rising 2θ:
2theta  I_rel
29.14  25
29.89  25
30.43  26
31.25  49
31.65  31
31.76  29
32.38  38
32.53  100
34.51  50
36.04  34


# AcPrNdHg
Computed X-ray powder pattern, Cu Kα, 1.54184 Å. Input: the GGA-PBE geometry in Alexandria.
Kinematic intensities with the Lorentz-polarization factor, no thermal factor.

Cell and atoms:
Cell: 3.868 3.868 9.024 Å, 90.00 90.00 90.00°
Sites, in units of the cell vectors:
Ac: 0.000 0.000 0.000
Pr: 0.500 0.500 0.710
Nd: 0.500 0.500 0.288
Hg: 0.000 0.000 0.495

Largest 6 diffraction maxima, low angle first, 2θ from 10° to 90°:
2theta	I (rel.)	index
30.4	100	1 0 2
32.7	46	1 1 0
47.0	17	2 0 0
52.6	16	1 1 4
57.0	35	2 1 2
63.3	9	2 0 4
└──

Record 1
This entry pairs a crystal structure of HoEr4In3 with its simulated X-ray powder pattern. Radiation: Cu Kα, 1.54184 Å. Structure: a crystal structure in Alexandria, relaxed with PBE.
Intensities are scaled so that the largest is 100.

Cell and atoms:
abc: 3.474 8.773 15.019
angles: 90.00 90.00 90.00
Space group Immm (No. 71)
Asymmetric unit:
Ho: 0.000 0.000 0.000
Er: 0.000 0.301 0.140
In: 0.000 0.000 0.500
In: 0.000 0.500 0.316

Most intense lines, 15° ≤ 2θ ≤ 90°, in order of rising 2θ:
2theta  I_rel
26.33  32
30.12  77
31.16  36
31.36  100
33.44  38
35.55  46
35.87  36
36.70  48
37.60  99
64.46  32



Record 2
This entry pairs a crystal structure of Ho5Er12In2 with its simulated X-ray powder pattern. Radiation: Cu Kα, 1.54184 Å. Structure: a crystal structure in Alexandria, relaxed with PBE.
Intensities are scaled so that the largest is 100.

Cell and atoms:
abc: 15.279 9.192 8.226
angles: 90.00 91.39 90.00
Space group C2/m (No. 12)